Discovering Your Potential

Uncovering the Treasures Within

60 Minute Session

Session Objectives

By the end of this lesson, students will:

  • Recognize that everyone has unique talents and abilities.
  • Identify their own strengths, interests, and areas of potential.
  • Understand the concept of personal potential as a combination of talent, knowledge, and motivation.
  • Build confidence in their abilities and appreciate the diversity of strengths among peers.

Discovering What Makes You Special

Time: 10 minutes

Have you ever thought about how amazing it is that there’s no one else in the world exactly like you? Even identical twins have different personalities, different talents, and different things they love to do!

Let’s play a game called “What Makes Me, Me!” I want you to think about all the things that make you unique. 

It could be:

  • Things you’re good at
  • What you love doing
  • Special experiences you’ve had
  • Your favorite ways to learn
  • How you solve problems
  • What makes you happy
  • Ways you help others

For example, maybe:

  • You’re really good at remembering song lyrics
  • You can make anyone laugh when they’re sad
  • You love solving puzzles
  • You’re great at explaining things to others
  • You notice details others might miss
  • You’re patient with younger kids
  • You can imagine amazing stories

Think about something that makes you different from your friends or family.

Maybe you’re the only one who:

  • Loves spicy food
  • Can whistle really well
  • Enjoys doing math problems
  • Knows how to juggle
  • Can remember everyone’s birthday
  • Makes up silly songs

All these little things add up to make you uniquely YOU!

And here’s something really cool to think about: Just like a fingerprint, your combination of talents, interests, and abilities is completely unique. No one else in the world has exactly the same mix as you do.

What’s something special about you that you’d like to share?

Teaching Note: This opening helps students recognize and appreciate their individuality while setting up the deeper exploration of personal talents and potential to come.

Understanding Your Amazing Potential

Time: 10 minutes

You know how a seed contains everything needed to grow into a beautiful plant? 

Well, you’re like that seed – full of amazing potential just waiting to grow!

Let’s break down what we mean by “potential“:

Think of potential like making a delicious cake:

  1. You need ingredients (your natural talents)
  2. You need a recipe and skills (knowledge you learn)
  3. You need the desire to bake (your motivation)

All three parts work together to create something amazing!

Your Natural Talents These are things that just come naturally to you, like:

  • Being good with numbers
  • Having a great singing voice
  • Being able to make friends easily
  • Running really fast
  • Being creative
  • Understanding how things work

What You Learn This is like adding tools to your toolbox:

  • Skills you practice
  • Things you study
  • New abilities you develop
  • Tricks you figure out
  • Wisdom you gain from experience

Your Inner Drive This is your personal “engine” that makes you want to:

  • Try new things
  • Practice until you improve
  • Keep going when things get tough
  • Learn from mistakes
  • Reach your goals

Let me give you an example: Think about someone who becomes a great basketball player.

  • They might have natural talent (being tall, good coordination)
  • They learn skills (dribbling, shooting techniques)
  • They have motivation (practice every day, never give up)

All three parts working together help them reach their potential!

What’s really exciting is that everyone has their own special mix of these three things. Can you think of something you’re good at?

Let’s break it down into these three parts!

Let me give you an example: Think about someone who becomes a great basketball player.

  • They might have natural talent (being tall, good coordination)
  • They learn skills (dribbling, shooting techniques)
  • They have motivation (practice every day, never give up)

All three parts working together help them reach their potential!

What’s really exciting is that everyone has their own special mix of these three things. Can you think of something you’re good at?

Let’s break it down into these three parts!

Teaching Note: Help students understand that potential isn’t just about natural talent – it’s about combining talents with learning and motivation to achieve great things.

Discovering My Superpowers

Time: 15 minutes

Let’s fill this out together! Take your time thinking about each section. Sometimes we don’t notice our own strengths, so think about:

  • What comes easily to you
  • What others ask you to help with
  • Times when you felt successful
  • Activities that make you lose track of time

There are no wrong answers – this is all about discovering what makes YOU special!

As you write, tell me about some of your answers. I’d love to hear what you discover about yourself!

					# My Personal Strengths Discovery Sheet
Name: _________________
Date: _________________

## My Superpower Areas

### Things I'm Good At...
* At home: _______________________
* At school: ______________________
* With friends: ____________________
* In sports/activities: _______________
* When helping others: _____________

### Things That Make Me Happy...
* I love doing: ____________________
* I get excited about: ______________
* I lose track of time when: _________
* I'm proud when: _________________

### What Others Notice...
* My family says I'm good at: ________
* My friends say I'm great at: ________
* My teachers notice I: _____________
* People come to me when: _________

### My Learning Adventures...
* I want to learn more about: ________
* I'm curious about: _______________
* I'd like to try: __________________
* I dream of: ____________________

### My Special Qualities...
* Three words that describe me:
1. _____________________________
2. _____________________________
3. _____________________________

### My Proudest Moments...
Draw or write about a time when you felt really proud of something you did:



  1. Everyone has different strengths
  2. Strengths can grow stronger
  3. New strengths can develop
  4. Your strengths make you unique!

Teaching Note: Help students dig deeper when they seem unsure. Sometimes they need help recognizing strengths they take for granted. Celebrate each strength they identify, and help them see how different strengths can work together.

The Garden of Hidden Gifts

Time: 10 minutes

Let me tell you a story about three friends – Maya, Alex, and Jordan – and their amazing discovery in their school’s abandoned garden.

One day, their science teacher, Ms. Chen, gathered them around and said, “You know that old garden behind the school? There’s something incredibly valuable hidden there. Something that could change everything.”

The three friends were so excited! They imagined finding buried treasure, ancient artifacts, or maybe even dinosaur bones. Every day after school, they worked in the garden:
– Maya mapped out different areas to explore
– Alex researched what plants used to grow there
– Jordan organized their tools and plans

They dug carefully, cleared weeds, and turned the soil. Days passed, then weeks. No treasure. They started feeling disappointed.

'''
Record 1
# C2H3ClF2O2S

A cluster of 2 separate species, C2H3ClF2O2S in total (the ωB97M-V functional and the def2-TZVPD basis, the Open Molecules 2025 dataset).

Structure (XYZ):
```
11
Properties=species:S:1:pos:R:3:mulliken_charge:R:1
C 1.1234 -0.3997 1.8358 0.01
C 0.3046 0.5862 1.7462 -0.24
O -0.8696 -1.1517 -0.6742 -0.38
O 0.1262 0.5360 -2.1617 -0.39
F 1.2326 -1.1288 2.9474 -0.24
F 0.1362 1.2443 0.5663 -0.23
S -1.2716 -0.1251 -1.5499 0.70
Cl -1.9312 -0.9261 -3.4288 -0.28
H -0.2720 1.1577 -2.7383 0.34
H 1.7011 -0.6533 0.9254 0.29
H -0.2798 0.8607 2.5320 0.42
```

Results
- frontier orbital gap (eV) = 10.149
- E_tot (Eh) = -1286.52547
- HOMO energy (eV) = -10.136
- total charge = 0

=====

Record 2
# C2H3ClFI

The molecule C2H3ClFI (the ωB97M-V functional and the def2-TZVPD basis, the Open Molecules 2025 dataset).

Structure (XYZ):
```
8
Properties=species:S:1:pos:R:3:mulliken_charge:R:1
C -0.8310 -0.4395 0.1354 -1.15
C 0.5032 0.4784 -0.1370 0.28
F 0.5328 0.7908 -1.4576 -0.19
Cl 0.6651 2.0186 0.7256 -0.13
I 2.1506 -0.9013 0.2851 0.07
H -0.5999 -0.8097 1.1011 0.40
H -1.6615 0.1279 -0.1487 0.35
H -0.7593 -1.2651 -0.5039 0.38
```

Results
- frontier orbital gap (eV) = 9.902
- E_tot (Eh) = -935.73195
- HOMO energy (eV) = -9.907
- total charge = 0
- SMILES = C[C@@](F)(Cl)I

=====

Record 3
# C2H3ClFI

A cluster of 2 separate species, C2H3ClFI in total (the ωB97M-V functional and the def2-TZVPD basis, the Open Molecules 2025 dataset).

Structure (XYZ):
```
8
Properties=species:S:1:pos:R:3:mulliken_charge:R:1
C 0.1972 -0.8058 -0.3403 -0.37
C 1.3111 -0.4205 -0.9139 -0.02
F 1.4766 -0.1939 -2.2440 -0.25
I 3.1345 0.0441 0.1543 0.12
H -0.5631 -1.2505 -1.0800 0.20
H 0.0910 -0.6429 0.7202 0.34
Cl 0.0777 2.3765 0.0506 -0.20
H 0.7473 1.5065 0.7705 0.18
```

Results
- frontier orbital gap (eV) = 9.751
- E_tot (Eh) = -935.70317
- HOMO energy (eV) = -9.680
- total charge = 0
- SMILES = C=C(F)I.Cl

=====

Record 4
# C2H3ClFNO2

The molecule C2H3ClFNO2 (the ωB97M-V functional and the def2-TZVPD basis, the Open Molecules 2025 dataset).

Structure (XYZ):
```
10
Properties=species:S:1:pos:R:3:lowdin_spin:R:1
C 0.9709 0.6243 0.2298 0.05
C -0.2968 0.2126 -0.3559 0.47
N -0.9362 -0.9718 0.3447 0.05
O -0.2677 -1.5785 1.1034 0.09
O -2.1195 -1.1456 0.1371 0.07
F -1.2416 1.1278 -0.3857 0.07
Cl -0.3864 -0.4416 -2.3607 1.17
H 1.5829 1.4128 -0.3198 0.00
H 0.9393 0.9597 1.2179 0.02
H 1.7551 -0.1997 0.3891 0.00
```

Results
- frontier orbital gap (spin up / spin down) (eV) = 8.243 / 6.057
- E_tot (Eh) = -843.01632
- expectation value of S² = 2.006
- 2S+1 = 3
- HOMO energy (spin up / spin down) (eV) = -7.674 / -11.146
- total charge = 0

=====

Record 5
# C2H3ClI2O2S

A structure of composition C2H3ClI2O2S (the ωB97M-V functional and the def2-TZVPD basis, the Open Molecules 2025 dataset).

Structure (XYZ):
```
11
Properties=species:S:1:pos:R:3:mulliken_charge:R:1
C 0.2204 0.7301 1.2417 -1.13
C -0.5521 0.2253 0.0039 -0.34
O -0.3325 -1.3567 -2.0819 -0.44
'''

“Maybe Ms. Chen was wrong,” Maya sighed.

“Or maybe we’re not looking in the right place,” Alex suggested.

Then Jordan had an idea: “Well, since we’ve cleared all this space, why don’t we plant something?”

They decided to try:
– Maya used her planning skills to design the garden
– Alex applied his research to choose the right plants
– Jordan created a schedule to care for everything

To their surprise, something magical started happening. The garden began to bloom! Not just with flowers and vegetables, but with other wonderful things too:
– Other students started joining them
– Teachers brought their classes to learn
– Younger kids asked them for gardening advice
– The whole school started feeling prouder

One day, Ms. Chen visited their thriving garden. “I see you found the treasure,” she smiled.

“But we didn’t find anything buried here,” Maya said.

“Didn’t you?” Ms. Chen asked. “Look what you’ve discovered:
– Maya, you found you’re a natural leader
– Alex, you learned you love solving problems
– Jordan, you realized you’re great at organizing
Plus, you’ve created something beautiful that helps everyone!”

The friends looked at each other in amazement. The real treasure wasn’t buried in the garden – it was inside them all along, just waiting to be discovered through their hard work and dedication.

What do you think about this story? Have you ever discovered something special about yourself while working on a project? What hidden talents might you have that are just waiting to be discovered?

Teaching Note: This story helps students understand that discovering their potential often comes through effort and trying new things, and that everyone has valuable gifts to contribute.

Our Amazing Talent Gallery

Time: 15 minutes

Let’s create something special – your own personal “Talent Gallery” that shows off all the amazing things you can do! Think of it like creating a museum exhibit about YOU.

Creating Your Talent Display

First, let’s gather our “exhibits”:

  • Things you can do
  • Things you know about
  • Ways you help others
  • Special skills you have
  • Unique qualities about you

Let’s make a creative poster together. 

We’ll divide it into different sections:

1. My Physical Talents

  • Sports abilities
  • Dance moves
  • Physical skills
  • Things you can make with your hands

2. My Mind Powers

  • Subjects you’re good at
  • Problems you can solve
  • Things you remember well
  • Creative ideas you have

3.  My Heart Strengths

  • How you help others
  • Ways you show kindness
  • Things that make you a good friend
  • How you make people feel better

4. My Special Skills

  • Unique abilities
  • Cool tricks you can do
  • Things you’ve learned
  • Special knowledge you have

As we create each section, tell me:

____________
The following is a quantum chemistry calculation of a 5-piece molecular cluster, H9O4S overall, from OMol25.

Positions of all 14 atoms, in Å:
S (1.60, 1.30, -1.55)
H (1.92, 0.00, -1.33)
H (-0.25, 0.71, -2.09)
H (-1.02, -0.53, -2.95)
O (-1.19, 0.18, -2.29)
H (0.78, 0.54, 0.36)
H (0.03, -0.52, 1.46)
O (0.70, 0.20, 1.28)
H (-2.63, 0.69, -0.09)
H (-2.76, 0.19, -1.43)
O (-3.27, 0.17, -0.60)
H (1.88, -1.31, 2.40)
H (2.01, -0.33, 3.49)
O (2.22, -1.28, 3.32)

Calculated values
Highest occupied orbital energy = -4.21 eV
Frontier orbital gap = 8.0 eV
Total charge = -1

***

The following is a quantum chemistry calculation of a 7-piece molecular cluster, C12H42N3O7 overall, from OMol25.

Positions of all 64 atoms, in Å:
O (-6.49, -11.81, 3.92)
H (-5.61, -11.41, 4.25)
H (-7.05, -11.02, 3.65)
H (-6.30, -12.31, 3.05)
C (-3.00, -9.30, 6.12)
C (-3.99, -9.84, 5.08)
C (-3.55, -9.42, 3.67)
O (-4.71, -9.42, 2.85)
C (-4.44, -8.92, 1.55)
N (-4.14, -11.30, 5.13)
H (-3.29, -9.63, 7.13)
H (-3.08, -8.21, 6.08)
H (-1.99, -9.68, 5.96)
H (-4.93, -9.33, 5.33)
H (-2.69, -9.98, 3.27)
H (-3.19, -8.39, 3.77)
H (-3.85, -9.64, 0.96)
H (-3.89, -7.98, 1.61)
H (-5.39, -8.93, 1.03)
H (-4.43, -11.63, 6.05)
H (-3.21, -11.68, 5.00)
C (-9.03, -14.04, 7.94)
C (-8.82, -13.11, 6.74)
C (-10.11, -12.42, 6.38)
O (-11.00, -13.35, 5.83)
C (-12.21, -12.78, 5.37)
N (-7.67, -12.21, 7.08)
H (-8.12, -14.55, 8.27)
H (-9.71, -14.85, 7.71)
H (-9.32, -13.42, 8.79)
H (-8.50, -13.65, 5.84)
H (-9.90, -11.63, 5.63)
H (-10.55, -11.88, 7.23)
H (-11.99, -12.06, 4.58)
H (-12.72, -12.24, 6.18)
H (-12.85, -13.61, 5.07)
H (-7.79, -11.89, 8.04)
H (-7.92, -11.38, 6.53)
C (-4.41, -12.75, 0.66)
C (-5.77, -13.43, 0.54)
C (-5.57, -14.80, -0.11)
O (-6.79, -15.49, -0.03)
C (-6.73, -16.83, -0.48)
N (-6.27, -13.56, 1.93)
H (-3.90, -12.62, -0.30)
H (-3.77, -13.39, 1.28)
H (-4.47, -11.80, 1.19)
H (-6.46, -12.85, -0.07)
H (-4.71, -15.32, 0.32)
H (-5.27, -14.60, -1.15)
H (-6.44, -16.84, -1.53)
H (-7.67, -17.34, -0.36)
H (-5.99, -17.37, 0.12)
H (-5.79, -14.35, 2.36)
H (-7.23, -13.88, 1.88)
O (-5.80, -13.92, 5.58)
H (-5.96, -14.78, 5.99)
H (-6.43, -13.32, 6.02)
O (-7.71, -9.29, 5.58)
H (-7.48, -9.24, 6.51)
H (-8.09, -8.43, 5.37)
O (-7.97, -10.11, 2.54)
H (-7.88, -9.41, 1.88)
H (-8.71, -10.65, 2.25)

Calculated values
Highest occupied orbital energy = -12.15 eV
Frontier orbital gap = 9.8 eV
Total charge = +1

***

The following is a quantum chemistry calculation of a 10-piece molecular cluster, C29H43N9O10S overall, from OMol25.

Positions of all 92 atoms, in Å:
C (0.41, 3.77, 2.63)
N (1.60, 3.51, 1.78)
O (2.59, 3.03, 2.31)
O (1.52, 3.85, 0.62)
H (-0.47, 3.63, 2.01)
H (0.49, 4.80, 2.97)
H (0.43, 3.11, 3.49)
C (4.25, 1.85, -3.63)
N (5.70, 1.64, -3.41)
O (6.44, 2.57, -3.64)
O (6.06, 0.53, -3.09)
H (3.75, 1.85, -2.67)
H (3.89, 0.97, -4.17)
H (4.12, 2.71, -4.28)
C (-0.69, 5.46, -4.43)
N (-1.14, 4.07, -4.19)
O (-2.33, 3.85, -4.31)
O (-0.30, 3.24, -3.88)
H (-1.30, 6.08, -3.78)
H (-0.94, 5.75, -5.44)
H (0.38, 5.54, -4.25)
____________

  • How did you discover this talent?
  • What do you enjoy most about it?
  • How do you use it to help others?
  • What would you like to learn next?

Let’s make it colorful and fun! 

We can:

  • Draw pictures
  • Write descriptions
  • Add decorations
  • Make it really represent YOU

When we’re done, you’ll have a beautiful display of what makes you special. We can even leave some blank spaces for new talents you’ll discover!

Teaching Note: Help students recognize that talents come in many forms – not just traditional skills like sports or music, but also things like being a good listener or having a great imagination. Encourage them to think broadly about what makes them special.

### These calculated molecules were left in the piece by mistake
........
A cluster of 2 separate species, C14H17N3 in total. Source: the Open Molecules 2025 dataset; level of theory: wB97M-V/def2-TZVPD.

```
34
Properties=species:S:1:pos:R:3:lowdin_charge:R:1
C -1.0608 0.1317 0.7770 -0.006
C -2.0055 -0.7935 0.3851 -0.240
C -3.2472 -0.3523 -0.1281 -0.210
N -4.2392 0.1027 -0.5608 0.165
C -1.8923 -2.2049 0.5816 -0.195
N -1.8782 -3.3780 0.6637 0.174
C -0.0723 -0.2533 1.8050 -0.219
C 0.6277 -1.4844 1.7587 -0.051
C 1.5897 -1.8184 2.7261 -0.060
C 1.8486 -0.9286 3.7831 -0.078
C 1.1932 0.3168 3.8254 -0.075
C 0.2511 0.6507 2.8431 -0.025
H -1.2874 1.1947 0.6770 0.134
H 0.4854 -2.1603 0.9080 0.104
H 2.1371 -2.7728 2.6608 0.113
H 2.5625 -1.1942 4.5707 0.105
H 1.4179 1.0183 4.6339 0.105
H -0.2293 1.6294 2.8519 0.114
C -1.1568 1.6845 -3.5254 -0.077
C -1.1640 0.9547 -2.1778 -0.269
N -0.0846 1.1256 -1.2012 -0.102
C 0.9744 0.1118 -1.1191 -0.280
C 2.2508 0.1369 -1.9757 -0.079
H -2.1921 1.7974 -3.8538 0.072
H -0.6987 2.6727 -3.4988 0.068
H -0.6797 1.0817 -4.3005 0.067
H -2.0813 1.1929 -1.6229 0.081
H -1.1973 -0.1260 -2.3876 0.119
H 0.2905 2.0716 -1.1795 0.129
H 1.2926 0.1373 -0.0693 0.090
H 0.4653 -0.8423 -1.3273 0.115
H 2.9797 -0.5235 -1.4889 0.071
H 2.0717 -0.2991 -2.9677 0.069
H 2.7285 1.1205 -2.0669 0.071
```

## Properties
Structure (SMILES): N#CC(C#N)=Cc1ccccc1.CCNCC
Kohn-Sham gap (eV): 7.95


A structure of composition C28H32As2GeIrNO6S2. Source: the Open Molecules 2025 dataset; level of theory: wB97M-V/def2-TZVPD.

```
73
Properties=species:S:1:pos:R:3:lowdin_charge:R:1
Ir 0.0020 -1.1884 -0.1334 1.135
S 2.7514 -1.3288 -0.4782 0.570
C 3.6232 0.1708 -0.2826 -0.719
C 5.0218 0.1916 -0.3967 -0.136
C 5.7235 1.3745 -0.2764 -0.104
C 5.0639 2.5791 -0.0454 -0.108
C 3.6849 2.5754 0.0747 -0.115
C 2.9725 1.3841 -0.0264 -0.418
As 1.0565 1.2664 0.1336 1.258
C 0.4890 2.9494 -0.6304 -0.362
C 0.2460 4.0739 0.1472 -0.099
C -0.1365 5.2643 -0.4572 -0.089
C -0.2750 5.3314 -1.8358 -0.095
C -0.0387 4.2052 -2.6116 -0.087
C 0.3364 3.0157 -2.0095 -0.110
C 0.7523 1.4849 2.0404 -0.372
C -0.5566 1.4153 2.5124 -0.109
C -0.7983 1.4737 3.8752 -0.080
C 0.2578 1.5847 4.7714 -0.097
C 1.5600 1.6434 4.3012 -0.092
C 1.8101 1.5963 2.9340 -0.096
H 5.5452 -0.7362 -0.5892 0.091
H 6.8029 1.3613 -0.3721 0.096
H 5.6187 3.5045 0.0386 0.092
H 3.1500 3.5032 0.2479 0.100
H 0.3442 4.0220 1.2257 0.100
H -0.3295 6.1386 0.1522 0.098
H -0.5784 6.2587 -2.3054 0.096
H -0.1685 4.2457 -3.6856 0.101
H 0.4889 2.1275 -2.6141 0.108
H -1.3722 1.2808 1.8106 0.088
H -1.8166 1.4125 4.2381 0.104
H 0.0636 1.6126 5.8364 0.096
H 2.3874 1.7212 4.9956 0.097
H 2.8304 1.6316 2.5721 0.096
O -2.9547 2.2852 -1.7477 -0.271
As -2.8689 0.5731 -1.2549 0.874
O -4.2715 0.2151 -0.5226 -0.455
O -1.4322 0.5348 -0.3662 -0.686
C -2.5190 -0.1470 -3.0352 -0.217
C -2.3373 0.7621 -4.0755 -0.090
C -2.0606 0.3246 -5.3641 -0.085
C -1.9666 -1.0321 -5.6319 -0.082
C -2.1447 -1.9457 -4.6051 -0.061
C -2.4169 -1.5046 -3.3198 -0.262
S -2.6200 -2.7362 -2.0415 0.456
O -1.7768 -3.8586 -2.4431 -0.354
O -4.0164 -3.0429 -1.9320 -0.277
........

Celebrating Your Unique Gifts: Looking Back and Moving Forward

Today we explored something amazing – the special combination of talents, abilities, and interests that make you uniquely YOU! Just like our garden story showed us, sometimes our greatest gifts are discovered when we try new things and believe in ourselves.

Here’s what we discovered today:

  • Everyone has special talents and abilities
  • Our potential grows when we combine natural talents with learning and motivation
  • Different people have different strengths, and that’s wonderful
  • Sometimes others see strengths in us that we don’t notice ourselves

Your Strength-Finding Mission

Over the next week, become a “Strength Detective.”

Your mission is to:

  1. Interview someone who knows you well (family member, friend, or teacher)
  2. Ask them:
    • What strengths do they see in you?
    • When have they seen you at your best?
    • What do they think makes you special?

Write down what you learn. You might be surprised by what others notice about you!

For example, you might write:
I interviewed my grandmother, and she said she admires how patient I am when helping my little brother with his homework. I never thought of patience as a special talent before !

When we meet next time, we’ll talk about things that might hold us back from using our talents fully. Bring your interview notes – I’d love to hear what you discovered about yourself!

Remember our special saying:
Your potential is like a garden – the more you tend it, the more beautiful it grows!

Teaching Note: End the session on an empowering note that encourages students to continue exploring their strengths while building anticipation for the next lesson about overcoming internal barriers.

Song: The Garden of You

Like a garden waiting to grow
You’ve got gifts that want to show
Everyone’s got something special
That makes them who they are!
[Verse 1]
Maybe you’re good at singing songs
Or solving puzzles all day long
Could be you’re great at making friends
Or helping others in the end
Some can run and jump so high
Others make great butterfly
Every talent that you bring
Makes our garden really sing
You’re like a seed about to grow
(About to grow!)
With so much more than you might know
(Than you might know!)
Just add some learning, add some care
(Add some care!)
And watch your garden grow so fair
You’ve got treasures deep inside
Different gifts from all the rest
Like a garden full of flowers
Each one blooming at its best
(At its best!)
[Verse 2]
Some folks notice tiny things
Others soar on creative wings
Maybe math just clicks for you
Or you know just what to do
When a friend is feeling down
Or someone needs help getting ’round
Every skill that makes you YOU
Is something special, something true
You’re like a seed about to grow
(About to grow!)
With so much more than you might know
(Than you might know!)
Just add some learning, add some care
(Add some care!)
And watch your garden grow so fair
Sometimes others see in you
What you haven’t noticed yet
Like Ms. Chen who helped her students
Find the gifts that they could get
[vocal effect: group of children]
In the garden of our minds
Every day we grow and shine!
[Verse 3]
Physical talents, mind powers too
Heart strengths that show in what you do
Special skills that make you shine
Growing stronger all the time
Like that garden in our tale
Where three friends could not fail
When they worked with what they knew
Look what amazing things they grew!
You’ve got treasures deep inside
Different gifts from all the rest
Like a garden full of flowers
Each one blooming at its best
(At its best!)
Your potential’s like a seed
Growing daily as you learn
Tend it well with love and care
Watch the magic as you turn